More dynamic talking.

  • #1, by ke4Wednesday, 08. October 2014, 17:18 11 years ago
    I was thinking,
    is there a way how to do more dynamic talking?
    I mean there are talking animations, but with the intention of save space and have the animations in loop i have just simple short animation of mouth.
    I would like to do something like random movements with hands or something i guess that would mean separate the mouth animation.
    Can be done something like this in visionaire? :-)

    Key Killer

    810 Posts

  • #2, by afrlmeWednesday, 08. October 2014, 17:32 11 years ago
    You would have to do your talk animations via the character animations section instead & manually trigger them as required. You could create talk animations as separate animations or all as one animation & use lua to force which frames to play.

    You could create a value or a table which randomly selects an animation if you want to randomize it. If you want to lipsync instead then I think the best approach would be to create a table that contains pause & frame values for each display text that will trigger when animations or frames should be played.


    7285 Posts

  • #3, by ke4Wednesday, 08. October 2014, 17:53 11 years ago
    I would like to have the mouth animation basic and then 2 - 3 random hand movements.
    So with the value i could just let the value random choose simple or with hands animation for talking, through a function in LUA(?)
    What do you mean by animations as separate animations? The best would be to have it separate, and with left click skiping just skiping the mouth and the hands let fisnish.

    Key Killer

    810 Posts

  • #4, by afrlmeWednesday, 08. October 2014, 20:05 11 years ago
    Character talk animations don't work like that. If you want to display text but use custom animations then use display narration text action part & create the animations as character animations (manually triggered animations).

    The only real way to do what you are actually asking for is with sprite parts, which we currently do not have any support for.


    7285 Posts

  • #5, by GregTuesday, 03. February 2015, 02:32 10 years ago
    Is there a way to utilize the dialogue choices and use the Character animations instead of the default Talk animation?

    I really like the way the dialogue system is set up but I would like to eliminate the animation instantly changing to the talking one. One of my characters is looking down and her talk animations are looking up. So I'm trying to come-up with a smart way of raising her head before the dialogue / talk animations kick in.


    23 Posts

  • #6, by afrlmeTuesday, 03. February 2015, 02:50 10 years ago
    Personally I hate the dialog system. If they replaced the bottom half of it & just added in the general action part system then it would be much more dynamic... why bother with a section for defining the spoken text or alternative text when you could just create a display text action part with whatever you want.

    If it were up to me I would remove dialog stuff from the characters section entirely & make it more global by giving it its own tab on the main tab icon selection on the left. Then I would remove all the junk & just leave the necessary options like remove dialog part & jump to dialog index (whatever it's called - I forget). I'd leave the text input box where you define the dialog question text but I would remove the rest & replace with action list.

    I guess you could not use the dialog system & create your own via an interface & various if query action parts & or Lua script. Would require a lot of work mind, but it would be much more dynamic than the standard dialog system.

-- Crystal structures that have nothing to do with the piece --
-- begin --
[1]
# NaMgTaSiS2O12, relaxed, DFT PBE
# Electronic total energy   -6.945 eV per atom
# Total energy after the MP2020 corrections   -7.403 eV/atom
# DFT formation energy   -2522.3 meV per atom
data_NaMgTaSiS2O12
_cell_length_a 15.153
_cell_length_b 8.791
_cell_length_c 22.793
_cell_angle_alpha 90.00
_cell_angle_beta 90.22
_cell_angle_gamma 90.00
_space_group_name_H-M_alt 'C 1 c 1'
_space_group_IT_number 9
loop_
_space_group_symop_operation_xyz
'x,y,z'
'x,-y,z+1/2'
'x+1/2,y+1/2,z'
'x+1/2,-y+1/2,z+1/2'
loop_
_atom_site_label
_atom_site_type_symbol
_atom_site_fract_x
_atom_site_fract_y
_atom_site_fract_z
_atom_site_occupancy
Na1 Na 0.000 0.002 0.000 1
Na2 Na 0.165 0.489 0.834 1
Na3 Na 0.318 0.013 0.666 1
Mg1 Mg 0.161 0.489 0.693 1
Mg2 Mg 0.315 0.004 0.526 1
Mg3 Mg 0.489 0.497 0.360 1
Ta1 Ta 0.156 0.495 0.486 1
Ta2 Ta 0.319 0.016 0.819 1
Ta3 Ta 0.490 0.499 0.653 1
Si1 Si 0.161 0.206 0.593 1
Si2 Si 0.172 0.143 0.927 1
Si3 Si 0.343 0.367 0.760 1
S1 S 0.013 0.359 0.091 1
S2 S 0.134 0.148 0.257 1
S3 S 0.301 0.353 0.091 1
S4 S 0.325 0.287 0.425 1
S5 S 0.466 0.145 0.925 1
S6 S 0.490 0.210 0.258 1
O1 O 0.005 0.185 0.096 1
O2 O 0.005 0.197 0.809 1
O3 O 0.054 0.416 0.144 1
O4 O 0.056 0.434 0.429 1
O5 O 0.062 0.396 0.749 1
O6 O 0.067 0.101 0.599 1
O7 O 0.070 0.380 0.037 1
O8 O 0.077 0.075 0.915 1
O9 O 0.083 0.116 0.310 1
O10 O 0.095 0.070 0.203 1
O11 O 0.142 0.319 0.532 1
O12 O 0.143 0.310 0.247 1
O13 O 0.165 0.315 0.647 1
O14 O 0.168 0.335 0.932 1
O15 O 0.224 0.077 0.980 1
O16 O 0.226 0.077 0.263 1
O17 O 0.239 0.114 0.866 1
O18 O 0.241 0.385 0.430 1
O19 O 0.244 0.097 0.586 1
O20 O 0.246 0.430 0.753 1
O21 O 0.247 0.378 0.143 1
O22 O 0.259 0.426 0.037 1
O23 O 0.308 0.193 0.371 1
O24 O 0.319 0.193 0.082 1
O25 O 0.337 0.196 0.477 1
O26 O 0.339 0.169 0.765 1
O27 O 0.390 0.435 0.096 1
O28 O 0.394 0.422 0.816 1
O29 O 0.398 0.392 0.417 1
O30 O 0.405 0.121 0.263 1
O31 O 0.407 0.390 0.700 1
O32 O 0.416 0.110 0.977 1
O33 O 0.426 0.070 0.871 1
O34 O 0.426 0.076 0.581 1
O35 O 0.476 0.311 0.203 1
O36 O 0.479 0.306 0.917 1



[2]
# Cr3Rh3S8, relaxed, DFT PBE
# Electronic total energy   -6.543 eV per atom
# Total energy after the MP2020 corrections   -6.830 eV/atom
# DFT formation energy   -820.1 meV per atom
data_Cr3Rh3S8
_cell_length_a 6.082
_cell_length_b 6.402
_cell_length_c 6.897
_cell_angle_alpha 105.02
_cell_angle_beta 90.31
_cell_angle_gamma 116.13
_space_group_name_H-M_alt 'P -1'
_space_group_IT_number 2
loop_
_space_group_symop_operation_xyz
'x,y,z'
'-x,-y,-z'
loop_
_atom_site_label
_atom_site_type_symbol
_atom_site_fract_x
_atom_site_fract_y
_atom_site_fract_z
_atom_site_occupancy
Cr1 Cr 0.000 0.000 0.000 1
Cr2 Cr 0.285 0.525 0.633 1
Rh1 Rh 0.000 0.000 0.500 1
Rh2 Rh 0.284 0.530 0.138 1
S1 S 0.023 0.732 0.181 1
S2 S 0.024 0.732 0.686 1
S3 S 0.447 0.243 0.556 1
S4 S 0.451 0.244 0.062 1



[3]
# KAsO3, relaxed, DFT PBE
# Electronic total energy   -5.653 eV per atom
# Total energy after the MP2020 corrections   -6.065 eV/atom
-- stop --
-- The piece goes on --


    7285 Posts

  • #7, by bobby23Wednesday, 04. February 2015, 21:04 10 years ago
    There is a way but it is tricky and weird to do and it only works with NPC
    You could have an object (empty) over the NPC so when you do "Talk to " it will not select the NPC but the empty object
    Then on clicking , you Assign a random value to a variable which will select with an if statement one of the random animations to play while talking. In the same IF statement you will need to add dialog on again an empty character so it will appear like the NPC is talking (showing text above him) while in reality he will only be doing the random movement like you want.

    However this will only work with NPC since the main character can not do that.

    Great Poster

    265 Posts